In this post, four Masters in Public Health alumni and one PhD student from the Usher Institute share their experience as student volunteers on the UNCOVER project, which is a network of researchers and information specialists from the University of Edinburgh dedicated to providing up to date evidence review on COVID-19. They discuss the impact of participating in this student and staff-run project on their academic and professional development…
UNCOVER (Usher Network for Covid-19 Evidence Reviews) is a research network run by University of Edinburgh staff, students and alumni across disciplines, producing up-to-date evidence on COVID-19 (https://www.ed.ac.uk/usher/uncover). It began in March 2020 as a response to urgent requests from UK and Scottish government policymakers to provide high-quality evidence reviews on COVID-19 in short timeframes and has continued and grown rapidly in size and purpose since then.
Student – Teacher Model
Student volunteers and staff work side-by-side throughout the whole review process, creating a dynamic and iterative learning experience as new skills are developed. Current topics are explored transparently together, in a dynamic response to emerging data on COVID-19, prior to engaging in research within UNCOVER’s model.
The indoor transmission review was an update on UNCOVER’s previous work done on indoor and outdoor transmission in response to a request made by the Scottish Government. The choice of doing this update was based on its relevance to the unfolding COVID-19 crisis, and students with interest in the subject within UNCOVER were asked to volunteer to be a part of the review team led by Dr Ruth McQuillan. Initially the team comprised of Masters of Public Health (MPH) student volunteers of UNCOVER but as a large number of fluid mechanics studies were involved, Dr Ignazio Maria Viola and his team from the School of Engineering joined the review team, thus, making the study more comprehensive and multidimensional.
Success of the Indoor Transmission review
We investigated different aspects of indoor transmission of SARS-COV-2 (transmission through aerosols, faeco-oral transmission, role of plumbing and ventilation systems, transmission via indoor surfaces, transmission in different indoor settings, activities associated with transmission and appropriate length of social distancing to prevent transmission) drawing on evidence from epidemiological, microbiological and fluid mechanics studies found in the literature.
Between us, we conducted database searches, title and abstract screening, full text screening, data extraction and quality assessment of all included articles, and the overall team coordination was led by Lara Goodwin.
Our tremendous team effort resulted in a successfully peer-reviewed article to be published in the Journal of Global Heath (http://www.jogh.org/).
We conducted this review during a transitional phase. As the UK moved out of its initial emergency phase, we found ourselves tasked with applying even greater methodological rigour within the longer timescale. Ultimately, this allowed us to ensure higher quality of evidence.
# 1
## Li4Cr2P3O12 (PBE with a Hubbard U)

Data for a geometry-optimized Li4Cr2P3O12 structure.

Lattice parameters (Å, degrees): 8.314 8.512 9.107 62.72 89.72 61.20
Atoms (fractional coordinates):
Li 0.037 0.200 0.082
Li 0.186 0.038 0.397
Li 0.227 0.182 0.653
Li 0.420 0.411 0.364
Li 0.580 0.589 0.636
Li 0.773 0.818 0.347
Li 0.814 0.962 0.603
Li 0.963 0.800 0.918
Cr 0.161 0.685 0.463
Cr 0.356 0.290 0.060
Cr 0.644 0.710 0.940
Cr 0.839 0.315 0.537
P 0.050 0.486 0.257
P 0.257 0.777 0.760
P 0.452 0.803 0.247
P 0.548 0.197 0.753
P 0.743 0.223 0.240
P 0.950 0.514 0.743
O 0.013 0.648 0.307
O 0.041 0.939 0.718
O 0.047 0.297 0.405
O 0.098 0.400 0.915
O 0.252 0.389 0.229
O 0.299 0.749 0.602
O 0.310 0.574 0.924
O 0.322 0.037 0.207
O 0.334 0.701 0.301
O 0.372 0.313 0.601
O 0.376 0.866 0.781
O 0.492 0.191 0.914
O 0.508 0.809 0.086
O 0.624 0.134 0.219
O 0.628 0.687 0.399
O 0.666 0.299 0.699
O 0.678 0.963 0.793
O 0.690 0.426 0.076
O 0.701 0.251 0.398
O 0.748 0.611 0.771
O 0.902 0.600 0.085
O 0.953 0.703 0.595
O 0.959 0.061 0.282
O 0.987 0.352 0.693

Distance to the lowest polymorph of the same formula in kcal/mol of atoms: 0.00
Calculated density in g/cm3: 2.87
Space group: P-1
Final energy in eV/atom: -6.926

# 2
## LiCrP2O7 (PBE with a Hubbard U)

Data for a geometry-optimized LiCrP2O7 structure.

Lattice parameters (Å, degrees): 4.868 8.184 7.002 90.00 108.45 90.00
Atoms (fractional coordinates):
Li 0.179 0.000 0.175
Li 0.821 0.500 0.825
Cr 0.215 0.363 0.229
Cr 0.785 0.863 0.771
P 0.215 0.079 0.587
P 0.399 0.682 0.022
P 0.601 0.182 0.978
P 0.785 0.579 0.413
O 0.051 0.539 0.354
O 0.135 0.169 0.384
O 0.183 0.824 0.981
O 0.248 0.516 0.010
O 0.402 0.183 0.108
O 0.402 0.929 0.583
O 0.407 0.213 0.747
O 0.593 0.713 0.253
O 0.598 0.429 0.417
O 0.598 0.683 0.892
O 0.752 0.016 0.990
O 0.817 0.324 0.019
O 0.865 0.669 0.616
O 0.949 0.039 0.646

Distance to the lowest polymorph of the same formula in kcal/mol of atoms: 0.00
Largest piezoelectric modulus in C/m2: 0.4
Calculated density in g/cm3: 2.92
Space group: P2_1
Final energy in eV/atom: -7.240

# 3
## Li2CrP2O8 (PBE with a Hubbard U)

Data for a geometry-optimized Li2CrP2O8 structure.

Lattice parameters (Å, degrees): 4.884 17.437 6.596 90.00 94.52 90.00
Atoms (fractional coordinates):
Li 0.012 0.000 0.043
Li 0.035 0.672 0.735
Li 0.445 0.251 0.064
Li 0.466 0.434 0.742
Li 0.534 0.934 0.258
Li 0.555 0.751 0.936
Li 0.965 0.172 0.265
Li 0.988 0.500 0.957
Cr 0.051 0.683 0.242
Cr 0.461 0.425 0.268
Cr 0.539 0.925 0.732
Cr 0.949 0.183 0.758
P 0.022 0.019 0.529
P 0.074 0.841 0.969
P 0.426 0.269 0.533
P 0.480 0.090 0.972
P 0.520 0.590 0.028
P 0.574 0.769 0.467
P 0.926 0.341 0.031
P 0.978 0.519 0.471
O 0.032 0.109 0.539
O 0.117 0.495 0.678
O 0.119 0.486 0.287
O 0.123 0.752 0.003
O 0.168 0.116 0.960
O 0.182 0.889 0.150
O 0.224 0.859 0.776
O 0.242 0.356 0.073
O 0.263 0.747 0.435
O 0.282 0.246 0.727
O 0.306 0.230 0.338
O 0.326 0.991 0.539
O 0.380 0.621 0.830
O 0.381 0.621 0.214
O 0.398 0.358 0.510
O 0.476 0.000 0.967
# So much for the materials data
Aside from the usual challenges of conducting a review, presenting its own difficulties with ensuring transparency and rigour at all stages of the process, this review faced unique challenges presented by the context of the pandemic.
Conducted during the first lockdown within the UK, many of us were isolated within our separate homes, some even having to relocate globally. This meant we had to adapt to an online collaborative experience. To ensure the review remained current within emerging evidence, we committed to extensive hours at our desktops to be able to complete the project in a timely manner. Our permitted “once, daily exercise” in the UK certainly became rather surreal in 3-dimensional space!
Additionally, team members worked from different time zones and most volunteers were involved in more than one UNCOVER project with the majority still midway in their own Masters of Public Health (MPH) dissertations.
-- begin --
[1]
This record from the Materials Project database describes a relaxed HoB2 crystal. The functional is PBE-GGA.

Energy relative to the elements   -0.59 eV per atom

a b c (Å): 3.287 3.287 3.830
angles (deg): 90.00 90.00 120.00
Sites, in units of the cell vectors:
Ho1 0.000 0.000 0.000
B1 0.333 0.667 0.500
B2 0.667 0.333 0.500

[2]
This record from the Materials Project database describes a relaxed CsAlSiO4 crystal. The functional is PBE-GGA.

Energy relative to the elements   -3.19 eV per atom

a b c (Å): 5.502 9.012 9.595
angles (deg): 90.00 90.00 90.00
Sites, in units of the cell vectors:
Cs1 0.750 0.500 0.199
Cs2 0.250 0.500 0.801
Cs3 0.250 0.000 0.699
Cs4 0.750 0.000 0.301
Al1 0.750 0.317 0.584
Al2 0.750 0.817 0.916
Al3 0.250 0.683 0.416
Al4 0.250 0.183 0.084
Si1 0.250 0.810 0.084
Si2 0.250 0.310 0.416
Si3 0.750 0.690 0.584
Si4 0.750 0.190 0.916
O1 0.750 0.253 0.756
O2 0.508 0.753 0.503
O3 0.992 0.753 0.503
O4 0.992 0.253 0.997
O5 0.750 0.753 0.744
O6 0.250 0.747 0.244
O7 0.492 0.247 0.497
O8 0.250 0.247 0.256
O9 0.008 0.247 0.497
O10 0.008 0.747 0.003
O11 0.250 0.490 0.412
O12 0.508 0.253 0.997
O13 0.492 0.747 0.003
O14 0.750 0.510 0.588
O15 0.250 0.990 0.088
O16 0.750 0.010 0.912

[3]
This record from the Materials Project database describes a relaxed SrZn2N2 crystal. The functional is PBE-GGA.

Energy relative to the elements   -0.38 eV per atom

a b c (Å): 6.109 10.406 6.324
angles (deg): 90.00 89.99 31.60
Sites, in units of the cell vectors:
Sr1 0.000 0.325 0.500
Sr2 0.000 0.675 0.500
Sr3 0.000 0.500 0.000
Zn1 0.715 0.980 0.862
Zn2 0.715 0.305 0.862
Zn3 0.285 0.020 0.138
Zn4 0.285 0.695 0.138
Zn5 0.263 0.869 0.649
Zn6 0.737 0.131 0.351
N1 0.390 0.973 0.803
N2 0.390 0.638 0.803
N3 0.610 0.027 0.197
N4 0.610 0.362 0.197
N5 0.523 0.239 0.678
N6 0.477 0.761 0.322

> The highest energy relative to the elements belongs to which entry?

SrZn2N2

~~~~~

1.
Ba2CuO3: relaxed, PBE-GGA.

abc: 3.8542 4.1736 7.1768
angles: 106.90 105.58 90.00
Element x y z (fractional)
Ba (0.3548, 0.8548, 0.7095)
O (0.0000, 0.0000, 0.0000)
O (0.8527, 0.3527, 0.7053)
O (0.1473, 0.6473, 0.2947)
Cu (0.0000, 0.5000, 0.0000)
Ba (0.6452, 0.1452, 0.2905)

Output
Formation energy ... -2286 meV/atom
Volume ... 106.0 Å³/cell


2.
Nd18Mn49Ni20: relaxed, PBE-GGA.

abc: 8.7972 8.7972 21.5333
angles: 90.00 90.00 120.00
Element x y z (fractional)
Nd (0.5302, 0.4698, 0.7651)
Nd (0.6072, 0.8036, 0.0981)
Mn (0.1729, 0.3457, 0.7069)
Nd (0.1365, 0.8635, 0.5683)
Nd (0.9397, 0.4698, 0.7651)
Ni (0.5000, 0.5000, 0.0000)
Ni (0.1666, 0.3332, 0.3332)
Mn (0.1614, 0.3227, 0.9598)
Ni (0.3335, 0.1667, 0.1665)
Mn (0.0000, 0.0000, 0.0000)
Mn (0.1936, 0.0968, 0.7744)
Ni (0.6668, 0.8334, 0.3332)
Ni (0.5000, 0.0000, 0.0000)
Nd (0.8036, 0.1964, 0.9019)
Nd (0.2730, 0.1365, 0.4317)
Mn (0.0000, 0.0000, 0.6773)
Mn (0.5695, 0.4305, 0.1075)
Mn (0.7635, 0.5269, 0.5592)
Mn (0.8386, 0.1614, 0.0402)
Mn (0.8609, 0.4305, 0.1075)
Mn (0.1614, 0.8386, 0.9598)
Mn (0.2365, 0.7635, 0.4408)
Mn (0.0000, 0.0000, 0.8791)
-- stop --
Learning and Reflection
The Indoor Transmission review taught us a great deal about conducting a goal-oriented, strategic and systematic review process. By structuring the review around ten main questions, we developed our ability to assess a vast amount of data in a targeted manner when facing time-pressures. This helped us beyond the review, in rethinking how we structured our own literature searches within our dissertations, at both Masters and PhD levels.
• Inserted here: materials data:
=====
# 1
{
  "formula": "Na3Li3N2",
  "functional": "PBE-GGA",
  "state": "optimized geometry",
  "m_tot_mub_per_atom": 0.000,
  "e_form_ev_per_atom": -0.1040,
  "de_polymorph_ev_per_fu": 0.00,
  "lattice_angstrom": [[4.288, 0.000, 0.000], [0.000, 3.869, 0.000], [0.000, 0.066, 7.305]],
  "species": ["Li", "Li", "N", "Na", "Na", "N", "Li", "Na"],
  "fractional_positions": [[0.000, 0.438, 0.018], [0.500, 0.013, 0.176], [0.500, 0.510, 0.186], [0.500, 0.352, 0.527], [0.500, 0.612, 0.862], [0.000, 0.490, 0.716], [0.000, 0.993, 0.718], [0.000, 0.634, 0.358]]
}

# 2
{
  "formula": "SnP7Au3",
  "functional": "PBE-GGA",
  "state": "optimized geometry",
  "e_form_ev_per_atom": -0.1039,
  "lattice_angstrom": [[11.146, 0.000, 0.000], [0.000, 6.391, 0.000], [0.000, 2.104, 6.172]],
  "species": ["P", "Sn", "Au", "P", "P", "P", "P", "P", "Au", "P", "Au", "Sn", "Au", "Au", "P", "P", "P", "P", "P", "P", "P", "Au"],
  "fractional_positions": [[0.092, 0.280, 0.805], [0.250, 0.689, 0.040], [0.902, 0.315, 0.313], [0.750, 0.739, 0.717], [0.588, 0.200, 0.710], [0.250, 0.261, 0.283], [0.079, 0.164, 0.165], [0.412, 0.800, 0.290], [0.598, 0.315, 0.313], [0.408, 0.280, 0.805], [0.098, 0.685, 0.687], [0.750, 0.311, 0.960], [0.402, 0.685, 0.687], [0.750, 0.927, 0.319], [0.908, 0.720, 0.195], [0.579, 0.836, 0.835], [0.912, 0.200, 0.710], [0.421, 0.164, 0.165], [0.921, 0.836, 0.835], [0.592, 0.720, 0.195], [0.088, 0.800, 0.290], [0.250, 0.073, 0.681]]
}

# 3
{
  "formula": "EuAu5",
  "functional": "PBE-GGA",
  "state": "optimized geometry",
  "e_form_ev_per_atom": -0.4352,
  "lattice_angstrom": [[3.579, -2.893, -1.062], [-0.356, 1.564, -5.462], [3.380, 2.872, 3.569]],
  "species": ["Au", "Eu", "Au", "Au", "Au", "Au"],
  "fractional_positions": [[0.500, 0.500, 0.500], [0.000, 0.000, 0.000], [0.000, 0.667, 0.333], [0.000, 0.333, 0.667], [0.500, 0.500, 0.000], [0.500, 0.000, 0.500]]
}

# 4
{
  "formula": "Hf2Pd",
  "functional": "PBE-GGA",
  "state": "optimized geometry",
  "m_tot_mub_per_atom": 0.030,
  "e_form_ev_per_atom": -0.4418,
  "lattice_angstrom": [[0.153, 0.743, 8.760], [-7.155, -1.989, 4.707], [-0.090, -7.214, 5.026]],
  "species": ["Pd", "Hf", "Hf", "Hf", "Hf", "Pd", "Hf", "Pd", "Pd", "Pd", "Hf", "Hf", "Hf", "Hf", "Hf", "Hf", "Pd", "Pd", "Hf", "Hf", "Hf", "Pd", "Hf", "Hf"],
  "fractional_positions": [[0.843, 0.843, 0.843], [0.814, 0.814, 0.186], [0.186, 0.814, 0.186], [0.625, 0.625, 0.125], [0.125, 0.625, 0.625], [0.843, 0.843, 0.472], [0.814, 0.186, 0.814], [0.407, 0.407, 0.407], [0.843, 0.472, 0.843], [0.407, 0.407, 0.778], [0.436, 0.064, 0.064], [0.064, 0.436, 0.436], [0.064, 0.064, 0.436], [0.064, 0.436, 0.064], [0.186, 0.814, 0.814], [0.436, 0.436, 0.064], [0.778, 0.407, 0.407], [0.472, 0.843, 0.843], [0.625, 0.625, 0.625], [0.814, 0.186, 0.186], [0.625, 0.125, 0.625], [0.407, 0.778, 0.407], [0.436, 0.064, 0.436], [0.186, 0.186, 0.814]]
}

# 5
{
  "formula": "Dy2Al2Fe15",
  "functional": "PBE-GGA",
  "state": "optimized geometry",
  "m_tot_mub_per_atom": 1.520,
=====
Our review involvement provided us with the ultimate learning experience, in what became a seamless transition from student to researcher, through the support of renowned yet familiar senior academics within the university. The student-teacher model gave us the opportunity to co-create our university learning experience and embed it directly within the politically pressed landscape of the pandemic. We quickly became aware of the multidimensionality required for effective problem solving in real-world scenarios within our own academically diverse team.
By maintaining a sense of pace and inclusion through regular team updates, we created space for the real-world impact that drove all our efforts. Working together on this review granted us all an ease of purpose from working together towards a common goal in a time of great instability. We all became very grateful for the true sense of community through collaboration we found at home in the team at UNCOVER.
Publication and Beyond
The vital questions explored and answered by our review shed light on key queries raised regarding the spread of the COVID-19 indoors . However, as new evidence continues to emerge at an exponential rate and as we experience changes in lockdown restrictions, updates of our work are already in progress – to offer more current and relevant insight. Often, it is the case that by the time robust evidence-based reviews reach publication, they can become outdated. We learned in the few condensed month of the pandemic a valuable lesson that would have taken years to learn in our separate public health careers.
For us, the student team, the success of this review making publication has added huge value to our CVs. It has aided us as a stepping-stone for continuing our academic careers in research and beyond, where we can still be responsible for delivering real-world outcomes, vetted by our second-to-none UNCOVER learning experience.
Lara Beth Goodwin
On-campus MPH graduate, research assistant & support worker.
Prerna Krishan
MPH graduate, community health educator, researcher, health administrator.
Gemma Nolan
MPH graduate, healthcare scientist.
Eva Pappa
PhD candidate in engineering, researcher and teaching assistant.
Madhurima Nundy
Physician, MPH graduate and public health researcher.